My Insecure Boyfriend Is Trying to Scare Me Off of All Men Besides Him

My Insecure Boyfriend Is Trying to Scare Me Off of All Men Besides Him

Calculated crystals from another source follow:
~~~
1.
# Sc2IBr3

A relaxed Sc2IBr3 crystal (GGA-PBE, Alexandria).

The value obtained for the uncorrected formation energy is -818 kJ/mol of formula units.

It has space group C2/m (No. 12), with a = 16.412 Å, b = 3.847 Å, c = 13.340 Å, α = 90.00°, β = 113.52° and γ = 90.00°. Symmetry generates all atoms from Sc at (0.243, 0.000, 0.101), Sc at (0.247, 0.500, 0.395), I at (0.128, 0.000, 0.234), Br at (0.126, 0.500, 0.975), Br at (0.129, 0.500, 0.493) and Br at (0.161, 0.000, 0.749).



2.
# NdMg9Zn2

A relaxed NdMg9Zn2 crystal (GGA-PBE, Alexandria).

As for the calculated formation energy: -79 meV per atom.

It has space group I4_1/amd (No. 141, origin choice 2), with a = 11.909 Å, b = 11.909 Å, c = 7.573 Å, α = 90.00°, β = 90.00° and γ = 90.00°. Symmetry generates all atoms from Nd at (0.000, 0.250, 0.375), Mg at (0.000, 0.250, 0.875), Mg at (0.122, 0.052, 0.682) and Zn at (0.000, 0.000, 0.000).



3.
# Cd2InBi5

A relaxed Cd2InBi5 crystal (GGA-PBE, Alexandria).

As for the calculated formation energy: 70 meV per atom.

It has space group Cm (No. 8), with a = 9.463 Å, b = 9.676 Å, c = 7.055 Å, α = 90.00°, β = 130.88° and γ = 90.00°. Symmetry generates all atoms from Cd at (0.000, 0.000, 0.000), Cd at (0.141, 0.500, 0.494), In at (0.000, 0.000, 0.476), Bi at (0.093, 0.500, 0.892), Bi at (0.279, 0.214, 0.435) and Bi at (0.324, 0.173, 0.015).



4.
# Al2AuCl

A relaxed Al2AuCl crystal (GGA-PBE, Alexandria).

For the distance to the lowest polymorph of the same formula, the calculation gives 702.2 meV/atom. The value obtained for the uncorrected formation energy is 79 kJ/mol of formula units.

It has space group F-43m (No. 216), with a = 6.858 Å, b = 6.858 Å, c = 6.858 Å, α = 90.00°, β = 90.00° and γ = 90.00°. Symmetry generates all atoms from Al at (0.000, 0.000, 0.000), Al at (0.250, 0.250, 0.250), Au at (0.250, 0.250, 0.750) and Cl at (0.000, 0.000, 0.500).



5.
# PaNi2Pd

A relaxed PaNi2Pd crystal (GGA-PBE, Alexandria).

For the distance to the lowest polymorph of the same formula, the calculation gives 0.0 meV/atom. As for the calculated formation energy: -386 meV per atom.

It has space group Cmcm (No. 63), with a = 3.650 Å, b = 15.754 Å, c = 4.579 Å, α = 90.00°, β = 90.00° and γ = 90.00°. Symmetry generates all atoms from Pa at (0.000, 0.113, 0.250), Ni at (0.000, 0.264, 0.750), Ni at (0.000, 0.500, 0.000) and Pd at (0.000, 0.355, 0.250).



6.
# TmTaCoOs

A relaxed TmTaCoOs crystal (GGA-PBE, Alexandria).

As for the calculated formation energy: -212 meV per atom.

It has space group F-43m (No. 216), with a = 6.450 Å, b = 6.450 Å, c = 6.450 Å, α = 90.00°, β = 90.00° and γ = 90.00°. Symmetry generates all atoms from Tm at (0.000, 0.000, 0.000), Ta at (0.000, 0.000, 0.500), Co at (0.250, 0.250, 0.750) and Os at (0.250, 0.250, 0.250).



7.
# SrPa2O6

A relaxed SrPa2O6 crystal (GGA-PBE, Alexandria).
~~~
Back to the page:


Hello Evan,

I have kind of an unusual question, and I was hoping to get your take on it. I’ve been dating my boyfriend for three months now, and there are lots of things I like about him. He’s really smart, and makes me laugh, and we both have the same values. However, he regularly tells me how sorry he feels for single women in general, and talks about how particularly sorry he is for women in San Francisco (where we live). He constantly talks about how other men are such jerks and players, and how he feels so much pity for his women friends, for his female boss and co-workers, and for all the women he dated before me. It is starting to make me uncomfortable.

A little background, I’m 30 and just moved home to San Francisco from New York City about 8 months ago. Sure, like any big city, San Francisco has its share of flaky dudes, or men too busy for a relationship. But there are lots of smart, interesting guys here, and there are actually more straight men than women because of the tech companies. Compared to NYC, San Francisco seems like a square deal. A lot of my guy friends who work in tech here complain about how hard it is to meet women.

I’ve tried to tell my boyfriend that dating here (and anywhere) is challenging for both sexes, and it’s probably best to have a little empathy for everyone. But he doesn’t seem to want to drop the issue. I’ve asked if this is some kind of strange sales pitch, and asked why he brings it up so much, but he just insists he’s just a nice guy who feels really sorry for women. I can’t tell if this is genuine concern, or it’s some kind of weird high-pressure commitment tactic. It usually comes up when I’m busy or he’s annoyed about something, so it seems like the latter. But there’s no need to pressure me – I’m already committed to him! And anyway, wouldn’t it be best for everyone if I date him because I like him, not because he’s managed to scare me away from the dating scene?

One last thing – my boyfriend is completely bald. I think he’s cute, but not every woman loves bald men. I feel like if I talked about bald men the way he talks about women, he’d probably get uncomfortable too. Part of me wants to turn the tables and say things like “I feel so sorry for bald men – it must be so difficult for them to find love when women prefer hair.” But that just seems mean and unproductive!

Should I cut this guy loose and find someone who isn’t into scare tactics, or do I just assume the best in my boyfriend, and that he’s got some kind of misguided knight-in-shining-armor complex, and try to see the good in it?

Seeking the Bald, Honest, Truth,

Every once in a while, I get a letter that I’ve never gotten before. Thanks for making my day, Sarah. Unfortunately, I don’t have all that much to add to your analysis.

He’s a nice guy who feels really sorry for women.
He’s insecure about being bald and a “nice guy” since many women don’t like both traits.
He’s trying to put himself on a pedestal as a paragon of virtue, thereby “scaring” you from the broader dating pool of Silicon Valley Tinder-ing D-Bags.

**These calculated crystals were left in the entry by mistake:**
~~~
CoBiF2 GGA-PBEsol optimized geometry; space-group type = R-3m; offset from the most stable computed form = 0 meV/atom; M_tot = 2.8 μB/f.u.; Fermi-level density of states = 5.35 states/eV/f.u.; ΔE_f (raw) = -1016 meV/atom
1.0
-1.228 -2.949 -0.041
1.804 -2.469 -0.926
2.550 -2.890 7.165
Co Bi F
1 1 2
Cartesian
1.564 -4.154 3.099 Co
0.000 0.000 0.000 Bi
1.471 -5.829 1.874 F
1.656 -2.479 4.325 F

~~~~~

one) This record from the Alexandria database describes crystalline BeSi3Se at its relaxed geometry. The functional is PBE.

Results
total magnetization = 0.0 μB per formula unit
SG = No. 221
calculated volume = 21.914 Å³/atom

Cell: 4.785 4.785 4.785 Å, 90.00 90.00 90.00°
Fractional coordinates of all 5 atoms:
Be  0.000  0.000  0.000
Si  0.000  0.500  0.500
Si  0.500  0.000  0.500
Si  0.500  0.500  0.000
Se  0.500  0.500  0.500

=====

two) This record from the Alexandria database describes crystalline BeSi3Se at its relaxed geometry. The functional is PBE.

Results
total magnetization = 0.0 μB per formula unit
SG = No. 221
calculated volume = 16.773 Å³/atom

Cell: 4.377 4.377 4.377 Å, 90.00 90.00 90.00°
Fractional coordinates of all 5 atoms:
Be  0.000  0.000  0.000
Si  0.000  0.000  0.500
Si  0.000  0.500  0.000
Si  0.500  0.000  0.000
Se  0.500  0.500  0.500

=====

Question: of the structures shown, which is the most stable? Reply: two).
~~~

If I were you and I actually liked this guy (after all, he IS your boyfriend), I would put it to him straight.

=====
DFT (meta-GGA SCAN) results for a PBEsol-optimized structure of Ag2PtW.

The value obtained for the calculated density is 15.688 Mg/m³. The formation enthalpy at 0 K is 0.465 eV per atom. The value obtained for the density of states at the Fermi level is 2.659 states/eV/cell.

The space group is Pmmm (No. 47) and the conventional cell measures 2.7195, 4.3245 and 5.3520 Å, with angles of 90.00, 90.00 and 90.00 degrees. The distinct sites, in fractional coordinates, are Ag at (0.0000, 0.0000, 0.2475), Pt at (0.5000, 0.5000, 0.5000) and W at (0.5000, 0.5000, 0.0000).

~~~~~

Compound: NaAsIrSe2
Source: the Alexandria database
Functional: PBE-GGA
Structure: optimized geometry

Unit cell a=4.879 b=4.879 c=4.772 alpha=90.00 beta=90.00 gamma=90.00
Positions (direct):
Na1 0.000 0.000 0.000
As1 0.000 0.000 0.500
Ir1 0.500 0.500 0.500
Se1 0.000 0.500 0.000
Se2 0.500 0.000 0.000

Computed properties:
- D(E_F): 0.78 states/eV per atom
- Symmetry: P4/mmm
- Formation energy from raw total energies: 1520 meV per atom


Compound: BaAlCu3
Source: the Alexandria database
Functional: PBE-GGA
Structure: optimized geometry

Unit cell a=4.383 b=9.040 c=9.957 alpha=90.00 beta=90.00 gamma=90.00
Positions (direct):
Ba1 0.750 0.833 0.998
Ba2 0.250 0.667 0.498
Ba3 0.750 0.333 0.502
Ba4 0.250 0.167 0.002
Al1 0.250 0.049 0.620
Al2 0.250 0.549 0.880
Al3 0.750 0.451 0.120
Al4 0.750 0.951 0.380
Cu1 0.250 0.595 0.146
Cu2 0.750 0.405 0.854
Cu3 0.250 0.095 0.354
Cu4 0.750 0.905 0.646
Cu5 0.250 0.309 0.736
Cu6 0.750 0.191 0.236
Cu7 0.250 0.809 0.764
Cu8 0.750 0.650 0.747
Cu9 0.250 0.350 0.253
Cu10 0.750 0.150 0.753
Cu11 0.750 0.691 0.264
Cu12 0.250 0.850 0.247

Computed properties:
- Energy relative to the elements: -0.06 eV per atom
- D(E_F): 0.43 states/eV per atom
- Symmetry: Pnma


Number 1: volume 22.7 Å³ per atom, energy -2.84 eV/atom, M_tot 0.000 μB per formula unit. Number 2: volume 19.7 Å³ per atom, energy -3.65 eV/atom, M_tot 0.000 μB per formula unit.

~~~~~

Crystalline LaRhW4 at its relaxed geometry, computed with PBE.

Lattice parameters (Å, degrees): 7.709 7.709 7.709 90.00 90.00 90.00
Space group F-43m (No. 216)
Symmetry-distinct sites (fractional):
La 0.000 0.000 0.000 x4
Rh 0.250 0.250 0.750 x4
W 0.126 0.126 0.374 x16

Volume   19.1 A^3/atom
Energy   -10.143 eV per atom
DOS at the Fermi energy   6.6 states/eV/f.u.

***

Crystalline La3RhW at its relaxed geometry, computed with PBE.

Lattice parameters (Å, degrees): 5.452 5.452 5.452 90.00 90.00 90.00
Space group Pm-3m (No. 221)
Symmetry-distinct sites (fractional):
La 0.000 0.000 0.500 x3
Rh 0.500 0.500 0.500 x1
W 0.000 0.000 0.000 x1

Volume   32.4 A^3/atom
Distance to the lowest polymorph of the same formula   0 meV per atom
DOS at the Fermi energy   2.4 states/eV/f.u.
=====

I would bet that the answer is D) All of the above.

So if I were you and I actually liked this guy (after all, he IS your boyfriend), I would put it to him straight:

Please, take yes for an answer. I’m already your girlfriend. And every time you tell me that you feel sorry for women, it makes me feel really awkward, as if I told you “I feel sorry for bald men because women judge them unfairly. Aren’t you lucky you found me?” Then listen to his reaction. He will hopefully admit some level of insecurity and you can bond over getting past this hurdle. And if he doesn’t, and this annoys you that much, then, by all means, you have the right to find a guy who doesn’t see fit to remind you all the time that you’d be lost without him.

Oh, and for extra reading on the pathology of being the “nice guy,” pick up a copy of Dr. Robert Glover’s “No More Mr. Nice Guy.”
